Liana Zavo : Tell us something about the outset story of your organization.

Tell us something about the outset story of your organization.

Growing up, I received my first taste of entrepreneurship from my family business. My family owns multiple restaurants and catering halls throughout New York. Even though it would have seemed to be the obvious choice to continue in my family’s footsteps and work within the business, I had the dreams I needed to chase. I wanted to create a legacy of my own and not take the easy way out and work for my family. So, I started my PR and digital marketing boutique agency, ZavoMedia, on the strength of my industry experience in marketing strategies and public relations with the mindset to assist female entrepreneurs within their journeys and inspire women to live out their goals and dreams. Additionally, I developed a platform of podcasts and interviews of executive female mentors who offer successful tips and guidance to women as they embark or continue the entrepreneurship journey. These platforms concentrate on personal branding, content marketing, brand awareness, leading with confidence, authenticity, and how to push through various obstacles of adversity.

What motivates and inspires you as a young entrepreneur?

Calculated crystals that have nothing to do with the article:
'''
## Ba2MgCd (PBE)

Data for a relaxed structure of Ba2MgCd.

Summary:
The value obtained for the total DFT energy (no corrections) is -1.69 eV per atom. The space group is P4mm.

Cell and atoms, written as POSCAR:
```
Ba2MgCd
1.0
-2.866 1.899 2.360
-1.477 -3.713 1.193
6.012 -0.036 7.329
Ba Mg Cd
2 1 1
Cartesian
-0.254 -0.919 4.114
5.620 -0.034 6.851
2.003 -0.932 6.865
3.319 -0.020 4.046
```


## La3Dy (PBE)

Data for a relaxed structure of La3Dy.

Summary:
As for the offset from the most stable computed form: 128 meV/atom. The value obtained for the total DFT energy (no corrections) is -4.71 eV per atom. The space group is Fm-3m.

Cell and atoms, written as POSCAR:
```
La3Dy
1.0
5.896 0.000 0.000
2.948 5.106 0.000
2.948 1.702 4.814
La Dy
3 1
Cartesian
8.843 5.106 3.610
0.000 0.000 0.000
2.948 1.702 1.203
5.896 3.404 2.407
```


One value per record, in order, for formation enthalpy at 0 K: -101.9 134.8 meV per atom.


# 1
Compound: KBaEuCd
Source: the Alexandria database
Functional: PBE
Structure: optimized geometry

```
4
Lattice="-4.045 0.582 4.722 1.850 -1.139 5.854 0.595 4.708 4.059" Properties=species:S:1:pos:R:3 pbc="T T T"
Ba 0.000 0.000 0.000
K -1.199 3.113 10.977
Eu -0.800 2.075 7.318
Cd -0.400 1.038 3.659
```

Calculated values
DFT formation energy = 0.042 eV/atom
magnetic moment = 8.0 Bohr magnetons per cell
theoretical density = 4.3 g/cm³



# 2
Compound: LiDyYBe
Source: the Alexandria database
Functional: PBE
Structure: optimized geometry

```
4
Lattice="4.991 0.000 0.000 2.496 4.322 0.000 2.496 1.441 4.075" Properties=species:S:1:pos:R:3 pbc="T T T"
Be 0.000 0.000 0.000
Y 2.496 1.441 1.019
Dy 7.487 4.322 3.056
Li 4.991 2.882 2.038
```

Calculated values
DFT formation energy = 0.126 eV/atom
magnetic moment = 0.0 Bohr magnetons per cell
theoretical density = 5.0 g/cm³



# 3
Compound: Co2Cu2Bi
Source: the Alexandria database
Functional: PBE
Structure: optimized geometry

```
10
Lattice="6.698 0.000 0.000 0.000 6.698 0.000 0.000 0.000 3.330" Properties=species:S:1:pos:R:3 pbc="T T T"
Cu 4.410 5.636 1.665
Cu 5.636 2.287 1.665
Cu 2.287 1.062 1.665
Cu 1.062 4.410 1.665
Bi 0.000 0.000 0.000
Bi 3.349 3.349 0.000
Co 5.866 4.181 0.000
Co 0.832 2.517 0.000
Co 4.181 0.832 0.000
Co 2.517 5.866 0.000
```

Calculated values
DFT formation energy = 0.420 eV/atom
energy above the most stable polymorph in this dataset = 0.00 eV/f.u.
magnetic moment = 6.0 Bohr magnetons per cell
theoretical density = 10.1 g/cm³



# 4
Compound: Rb2Y2SbS6
Source: the Alexandria database
Functional: PBE
Structure: optimized geometry

```
11
Lattice="6.904 -0.011 0.061 -3.422 5.996 0.061 -1.241 -2.134 7.852" Properties=species:S:1:pos:R:3 pbc="T T T"
S 0.510 0.877 2.501
S 1.731 2.975 5.474
S -1.743 0.853 5.416
S 0.638 4.945 2.559
S 1.603 -1.094 5.416
S 3.984 2.999 2.559
Y 2.843 0.924 3.987
Y -0.602 2.928 3.987
Sb -0.621 -1.067 3.926
Rb -1.682 4.984 0.061
Rb 5.164 1.001 0.061
```

Calculated values
magnetic moment = 0.0 Bohr magnetons per cell
'''
Here the article continues:

As I remember my journey to get to where I am today, my two primary sources of inspiration are my son and the future generations of professionals. My son is my first source of inspiration because I not only want to provide choices and opportunities for him that I did not have when I was young, but I want to show him that anybody can make a difference in the world. Anything is possible with hard work and dedication. My second source of inspiration is providing a successful example to other women and proving that they can make their dreams a reality if they stay focused on the goal. I believe we all have a voice within us that can be powerful and impactful to others when heard. For some, it is life-changing. Speaking up endows more self-confidence and brings in newfound peace and growth. Being in the media industry for over a decade, I’ve witnessed and went through different scenarios that tested my voice as a publicist and Entrepreneur. It wasn’t an easy journey, I admit, but by learning from my experience and extracting the moral lessons, I didn’t end up empty-handed. There were situations when I felt unheard, powerless, and limited by my surroundings. However, it was in those struggles that I pushed myself to step up. I broke through my limits, and from then on, I didn’t allow anyone to trample on who I am and what I am capable of doing. Fueled with the desire to succeed, I decided to step forward and start speaking up for myself rather than staying in the shadows, and my goal is to inspire others to do the same.

How does your company uphold its uniqueness and individuality?

I believe the uniqueness of my company comes from my coaching principles and PR hacks. For example, I formulated my acronym – B. E. P. I. C. – which helped me overcome moments of weakness to this day. I teach this method to my mentees so they can find their confidence and their inner voice to carry them through their journey. At the end of the day, my company’s primary goal is to carve an avenue for women in this male-dominated world continuously. I have stood firm on that goal and stayed committed to not only providing resources to educate women further but also to give them the tools and skills needed to become competent professionals. It is also important to me to not only educate but inspire. As a result, I have utilized my network over the years to give solid examples of what could happen with hard work, persistence, and dedication. Today, I am known as the millennial PR strategist, a media mogul, and a branding maven.

Kindly mention some of the notable recognitions and accreditations received by your organization.

The first honorable accomplishment that I cherish is becoming the first female Entrepreneur and businesswoman in my family. I am an official member of the Forbes Business Council and Chairwoman of WMW Lounge in New York. I am also one of the latest members of the Young Entrepreneur Council, the editor and chief of my lifestyle magazine, and a celebrated keynote speaker. However, out of all of my accomplishments and accolades, my most outstanding achievement is helping women create their own space and succeed in their entrepreneurship journey. I started the podcast “What Makes a Woman.”, and have penned multiple columns for various prestigious outlets such as Entrepreneur, and have appeared on notable platforms such as Forbes, Huffington Post, INC and more. More recently, I mentor girls from orphanages by providing them the necessary resources to educate them on the art of entrepreneurship. I feel that if I reach back and help future generations, the cycle will continue, and I have made my mark on this world.

The pandemic turned the tables for every sector of the economy, telling us something about your market and its scope for growth.

Covid-19 has changed the structure of business for everyone. Thankfully, my team and I could adopt more technology and create a digital avenue that allows us to reach a bigger audience and develop more effective and profitable services for these times. We were able to pivot my platform during a pandemic and carve out a new way to reach women on the one latest and aggressively growing apps, Clubhouse. The idea and overwhelming response from the platform motivated me to start a virtual public relations academy, Zavo PR Academy, which transforms professionals, entrepreneurs, and executives from being unknown to becoming unrecognizable by teaching proper industry strategies for boosting personal brands. The academy also uses a specific method to help magnify and monetize a message, how to find your unique voice, and how to develop an authority in your niche. As a result, we were able to broaden my audience and help more women create a better life for themselves and their families without losing any of our team members.

Where do you see your organization in the years to come?

Going forward, my organization and I plan to take my brand and mission to the next level. Zavo Media Group is becoming a global company by establishing offices in Paris and Dubai in the Spring of 2022. We will capitalize on technology so we can reach an even larger audience and help more women tap into their unique voice and story to share with the world. I plan to continue to educate and inspire those who know that there is more to life than doing the bare minimum and those that want to live instead of merely existing. Overall, I will remain persistent in creating more avenues and preparing the next generation of successful entrepreneurs for their greatness. I love the idea of giving voice to the voiceless, and I love the idea of storytelling and the power behind someone’s message. As a result, I plan to continue creating a brand that is aligned with the things that I am extremely passionate about.

Entrepreneurship is an art, what is your take on that?

I agree that entrepreneurship is an art because this journey is not for everyone. It takes a skillful and passionate person to understand the balance of talent, dedication, and the need for patience to trust the process of birthing a dream. Most people give up because of the dark and narrow roads of entrepreneurship, mainly because there are no guarantees, no safety nets, and no one or nothing to fall back on. Everything rests on the entrepreneur’s shoulders, and not everyone can bear that amount of weight. For example, before I started my company, I was a college dropout and a single mom at age 20. I knew I wanted more so I decided to learn for myself the art of storytelling and how to get it out to the public. I wanted to share my story with the world so others can learn from my experience and become inspired. When PR initially piqued my interest, I had no knowledge of the industry, but I decided to partner with a firm in NYC under one condition: I would introduce new clients from my family’s restaurant, and in return, they will let me shadow and learn everything there is to know about PR. I gave myself a year, and during that year, it was nothing but hard work, grit, and determination. By the end of the year, I learned the ins and outs of PR and hired a mentor to teach me the business aspect, and started my journey. With only $5000 and a spirit of determination, I started my bootstrap startup company in 2017 without any partners to assist.

I want to encourage people not to quit on themselves and to trust the process. Every task, every mistake, every pitfall, and every move is pushing you closer and closer to your dream, and you will see that one day, it was worth it.